
Nurturing women leaders at Bocconi with OTB

, by Susanna Della Vedova
The OTB Group Foundation and Bocconi University working together to train the women leaders of tomorrow

In Italy, only 19.1% of top positions in institutional bodies - such as the Constitutional Court, the Superior Council of the Judiciary, the Embassies, and market authorities such as the Consob exchange commission - are filled by women. In Italian listed companies only 2% of CEOs are women, and on bank boards this falls to 1%. In the Italian Parliament, moreover, less than 35% of senators and 36% of deputies are women. In STEM (Science, Technology, Engineering, Mathematics) subjects there is still a wide gender divide among university students (just 17% of students enrolled in STEM degrees are females), not to mention the gender pay-gap, the wage differential which still awaits women once they enter the labor market.

[What comes next are records of crystals, not part of the text]
+++
1.
LiCoGePb: relaxed, GGA-PBE.

Calculated values
Symmetry: No. 216
Magnetic moment in μB/cell: 0.01
Mass density in kg/m3: 8198
Energy relative to the lowest polymorph listed for this composition in eV/atom: 0.289

a = 4.6265 Å, b = 4.6265 Å, c = 4.6265 Å
α = 60.00°, β = 60.00°, γ = 60.00°
Positions (direct):
Ge (0.2500, 0.2500, 0.2500)
Pb (0.5000, 0.5000, 0.5000)
Co (0.0000, 0.0000, 0.0000)
Li (0.7500, 0.7500, 0.7500)

***

2.
Li4CoGe2Pd: relaxed, GGA-PBE.

Calculated values
Calculated total energy in eV for the cell shown: -32.356
Symmetry: No. 115
Magnetic moment in μB/cell: 0.07
Mass density in kg/m3: 5438

a = 4.1614 Å, b = 4.1614 Å, c = 5.9670 Å
α = 90.00°, β = 90.00°, γ = 90.00°
Positions (direct):
Pd (0.5000, 0.5000, 0.5000)
Ge (0.5000, 0.0000, 0.2245)
Ge (0.0000, 0.5000, 0.7755)
Co (0.0000, 0.0000, 0.0000)
Li (0.5000, 0.5000, 0.0000)
Li (0.0000, 0.0000, 0.5000)
Li (0.5000, 0.0000, 0.7572)
Li (0.0000, 0.5000, 0.2428)

***

3.
LiCoReGe: relaxed, GGA-PBE.

Calculated values
Symmetry: No. 216
Magnetic moment in μB/cell: 1.21
Mass density in kg/m3: 10718
Energy relative to the lowest polymorph listed for this composition in eV/atom: 0.010

a = 4.1437 Å, b = 4.1437 Å, c = 4.1437 Å
α = 60.00°, β = 60.00°, γ = 60.00°
Positions (direct):
Co (0.7500, 0.7500, 0.7500)
Li (0.5000, 0.5000, 0.5000)
Re (0.2500, 0.2500, 0.2500)
Ge (0.0000, 0.0000, 0.0000)
+++
[So much for the records of crystals]

OTB Foundation has always been alongside women in Italy and abroad with projects that protect and, at the same time, support them in their path to full emancipation. This is why the Foundation has decided to stand alongside the next generation of women who will lead Italian companies and the country by supporting them in their university training. The Italian managerial class of the future, in public administrations as well as in private companies, is bound to see a greater presence of women, and higher education is the principal way to promote this process.

(w)
# NpGaSn, relaxed, DFT PBE-GGA
data_NpGaSn
_chemical_formula_sum 'Np1 Ga1 Sn1'
_symmetry_space_group_name_H-M 'P 1'
_symmetry_Int_Tables_number 1
_cell_length_a 3.264
_cell_length_b 4.936
_cell_length_c 4.936
_cell_angle_alpha 120.00
_cell_angle_beta 90.00
_cell_angle_gamma 90.00
loop_
_symmetry_equiv_pos_as_xyz
'x,y,z'
loop_
_atom_site_label
_atom_site_fract_x
_atom_site_fract_y
_atom_site_fract_z
_atom_site_occupancy
Np1 0.333 0.667 0.333 1
Sn1 0.833 0.333 0.667 1
Ga1 0.834 0.000 0.000 1
# - total magnetic moment (μB/cell) = 4.504

=====

(x)
# NpGaSn, relaxed, DFT PBE-GGA
data_NpGaSn
_chemical_formula_sum 'Np2 Ga2 Sn2'
_symmetry_space_group_name_H-M 'P 1'
_symmetry_Int_Tables_number 1
_cell_length_a 3.764
_cell_length_b 4.950
_cell_length_c 7.140
_cell_angle_alpha 69.72
_cell_angle_beta 90.00
_cell_angle_gamma 90.00
loop_
_symmetry_equiv_pos_as_xyz
'x,y,z'
loop_
_atom_site_label
_atom_site_fract_x
_atom_site_fract_y
_atom_site_fract_z
_atom_site_occupancy
Ga1 0.250 0.571 0.857 1
Np1 0.250 0.943 0.114 1
Sn1 0.750 0.743 0.513 1
Np2 0.750 0.057 0.886 1
Ga2 0.750 0.429 0.143 1
Sn2 0.250 0.257 0.487 1
# - total magnetic moment (μB/cell) = 0.821

=====

Most stable pick: (x). Distance to second place: 82 meV per atom.

=====

(w)
# NpGaTc2, relaxed, DFT PBE-GGA
data_NpGaTc2
_chemical_formula_sum 'Np1 Ga1 Tc2'
_symmetry_space_group_name_H-M 'P 1'
_symmetry_Int_Tables_number 1
_cell_length_a 3.283
_cell_length_b 3.283
_cell_length_c 6.129
_cell_angle_alpha 90.00
_cell_angle_beta 90.00
_cell_angle_gamma 90.00
loop_
_symmetry_equiv_pos_as_xyz
'x,y,z'
loop_
_atom_site_label
_atom_site_fract_x
_atom_site_fract_y
_atom_site_fract_z
_atom_site_occupancy
Ga1 0.500 0.500 0.000 1
Tc1 0.000 0.000 0.757 1
Tc2 0.000 0.000 0.243 1
Np1 0.500 0.500 0.500 1
# - total magnetic moment (μB/cell) = 1.916

=====

(x)
# NpGaTc2, relaxed, DFT PBE-GGA
data_NpGaTc2
_chemical_formula_sum 'Np1 Ga1 Tc2'
_symmetry_space_group_name_H-M 'P 1'
_symmetry_Int_Tables_number 1
_cell_length_a 3.479
_cell_length_b 4.330
_cell_length_c 4.330
_cell_angle_alpha 90.00
_cell_angle_beta 90.00
_cell_angle_gamma 90.00
loop_
_symmetry_equiv_pos_as_xyz
'x,y,z'
loop_
_atom_site_label
_atom_site_fract_x
_atom_site_fract_y
_atom_site_fract_z
_atom_site_occupancy
Tc1 0.000 0.000 0.500 1
Tc2 0.000 0.500 0.000 1
Ga1 0.500 0.000 0.000 1
Np1 0.500 0.500 0.500 1
# - total magnetic moment (μB/cell) = 0.860

=====

(y)
# NpGaTc2, relaxed, DFT PBE-GGA
data_NpGaTc2
_chemical_formula_sum 'Np1 Ga1 Tc2'
_symmetry_space_group_name_H-M 'P 1'
_symmetry_Int_Tables_number 1
_cell_length_a 4.549
_cell_length_b 4.549
_cell_length_c 4.549
_cell_angle_alpha 60.00
_cell_angle_beta 60.00
_cell_angle_gamma 60.00
loop_
_symmetry_equiv_pos_as_xyz
'x,y,z'
loop_
_atom_site_label
_atom_site_fract_x
_atom_site_fract_y
_atom_site_fract_z
_atom_site_occupancy
Tc1 0.750 0.750 0.750 1
Np1 0.500 0.500 0.500 1
Ga1 0.000 0.000 0.000 1
Tc2 0.250 0.250 0.250 1
# - total magnetic moment (μB/cell) = 2.405

=====
(So much for the calculated crystals)

Bocconi University, the top Italian university in international rankings, has embraced the project promoted by the OTB Foundation and will provide financial aid to female students enrolled in three-year undergraduate degrees in Italian universities that are strongly motivated to become the leaders of the future, and pass the selection process on the basis of their academic curriculum and socio-economic condition.

Next to the page, the page also holds crystal structures =
-- begin --
This record from the Alexandria database describes DyMgCrS4 after structural relaxation. The functional is GGA-PBEsol.

Summary:
Its uncorrected formation energy is -1327.2 meV per atom. The space group is Imma (74). The mass density is 4.15 g/cm³.

```
14
Lattice="-3.6921 3.7774 5.2697 3.6921 -3.7774 5.2697 3.6921 3.7774 -5.2697" Properties=species:S:1:pos:R:3 pbc="T T T"
Dy 0.0000 0.0000 0.0000
Dy 0.0000 3.7774 0.0000
Mg 3.6921 1.8887 1.3167
Mg 0.0000 1.8887 3.9530
Cr 1.8460 1.8887 -2.6348
Cr 1.8460 -1.8887 2.6348
S 3.6921 -0.2738 2.5813
S 3.6921 3.5036 -2.5813
S 1.8492 1.8887 -0.2324
S 5.5349 1.8887 -0.2324
S -1.8429 1.8887 5.5021
S 1.8429 1.8887 5.5021
S 0.0000 0.2738 7.8510
S 0.0000 4.0512 2.6883
```

This record from the Alexandria database describes Dy3Mg2CrS8 after structural relaxation. The functional is GGA-PBEsol.

Summary:
Its uncorrected formation energy is -1592.5 meV per atom. The space group is R-3m (166). The mass density is 4.45 g/cm³.

```
14
Lattice="3.8439 2.2193 6.1613 -3.8439 2.2193 6.1613 0.0000 -4.4386 6.1613" Properties=species:S:1:pos:R:3 pbc="T T T"
Dy -1.9220 -1.1096 6.1613
Dy -1.9220 1.1096 12.3227
Dy 0.0000 2.2193 6.1613
Mg 0.0000 0.0000 2.3102
Mg 0.0000 0.0000 16.1738
Cr 0.0000 0.0000 9.2420
S 0.0000 0.0000 4.7064
S 0.0000 -2.0260 7.8304
S -1.7546 1.0130 7.8304
S -1.7546 -1.0130 10.6536
S 1.7546 1.0130 7.8304
S 1.7546 -1.0130 10.6536
S 0.0000 2.0260 10.6536
S 0.0000 0.0000 13.7776
```

This record from the Alexandria database describes DyMg2Cr3S8 after structural relaxation. The functional is GGA-PBEsol.

Summary:
Its uncorrected formation energy is -1096.2 meV per atom. The space group is R-3m (166). The mass density is 3.78 g/cm³.

```
14
Lattice="3.6237 2.0921 6.0147 -3.6237 2.0921 6.0147 0.0000 -4.1843 6.0147" Properties=species:S:1:pos:R:3 pbc="T T T"
Dy 0.0000 0.0000 0.0000
Mg 0.0000 0.0000 6.7596
Mg 0.0000 0.0000 11.2845
Cr -3.6237 0.0000 9.0221
Cr -1.8118 1.0461 3.0074
Cr 1.8118 1.0461 3.0074
S -1.9002 -1.0971 10.2721
S 0.0000 0.0000 4.2547
S 0.0000 -2.1941 7.7720
S -1.9002 1.0971 7.7720
S 1.9002 -1.0971 10.2721
S 0.0000 2.1941 10.2721
S 0.0000 0.0000 13.7894
S 1.9002 1.0971 7.7720
```

This record from the Alexandria database describes Er2CrS4 after structural relaxation. The functional is GGA-PBEsol.

Summary:
Its uncorrected formation energy is -1618.9 meV per atom. The space group is Pca2_1 (29). The mass density is 6.21 g/cm³.

```
56
Lattice="12.2173 0.0000 0.0000 0.0000 7.3152 0.0000 0.0000 0.0000 12.3311" Properties=species:S:1:pos:R:3 pbc="T T T"
Er 1.2981 0.8394 0.0000
Er 1.5629 4.5090 7.8714
Er 1.6203 2.7422 3.7476
Er 1.6483 6.3929 3.7668
Er 4.4603 6.3929 9.9324
Er 4.4884 2.7422 9.9131
Er 4.5458 4.5090 1.7059
Er 4.8105 0.8394 6.1656
Er 7.4067 6.4758 0.0000
Er 7.6715 2.8061 7.8714
Er 7.7289 4.5730 3.7476
Er 7.7569 0.9223 3.7668
Er 10.5690 0.9223 9.9324
Er 10.5970 4.5730 9.9131
Er 10.6544 2.8061 1.7059
Er 10.9192 6.4758 6.1656
Cr 1.3149 4.5497 0.0705
Cr 1.5482 0.9083 7.8465
Cr 4.5604 0.9083 1.6809
-- stop --
So much for the crystal structures =

With an initial investment of €280,000, the Foundation will cover the costs of a two-year Master of Science at Bocconi University for the female students selected, who will be able to choose from four graduate programs - Economics and Management of Government and International Organizations; Politics and Policy Analysis; International Management; Management - which enable access to managerial posts in public administrations and large corporations, where a greater presence of women is necessary and desirable.

Attendance of female graduate students with the financial support of the OTB Foundation to the above-mentioned Bocconi MSc programs will start in September 2022. Registrations are already open on the Bocconi University website and the deadline for the last session of the admission test is 17 March 2022.

Arianna Alessi, vice president of the OTB Foundation so comments the initiative: "The Foundation's commitment to supporting women, my experience as a woman executive in sectors still dominated by men, and the data we read daily on gender inequality have led us to this project which we hope will develop over time, by involving other actors in the business world and government institutions. In our country we are still very far from giving the right value to female employment and it is therefore necessary to promote an organizational culture that is more sensitive to gender issues. In our view, female empowerment means creating a world fit for women by nurturing the potential of each and every woman thanks to education. In the project we want to involve also the student beneficiaries, to whom we ask to commit themselves to support other women, both in terms of mentoring and – in the future – by helping fund other scholarships, thus creating a virtuous circle of women helping professionally other women."

"Investing in education and training means investing in our future and doing so by giving young women the opportunity to enter graduate studies has a double value", comments Gianmario Verona, Bocconi Rector. "Promoting gender equality in a concrete way as is the case with this initiative will have beneficial effects on the economy and society as a whole. In this delicate phase for our societies, we need the commitment of the best talents and to find them we must remove any obstacles that might prevent them from having a positive impact on the world of work and institutions. Among these, barriers related to gender must become a legacy of the past."